# File
____________
Entry 1:
This entry pairs a crystal structure of Cs2LaGaSe4 with its simulated powder XRD pattern. Radiation: Cu Kα (λ = 1.5418 Å). Structure: a DFT-relaxed cell (PBE, Alexandria).
Neutral-atom scattering factors, no anomalous dispersion.

Crystal structure
Unit cell a=9.036 b=9.036 c=9.103 alpha=113.92 beta=113.92 gamma=93.50
Atoms (fractional coordinates):
Cs1 0.000 0.000 0.000
Cs2 0.000 0.000 0.500
Cs3 0.000 0.500 0.000
Cs4 0.500 0.000 0.500
La1 0.500 0.500 0.000
La2 0.500 0.500 0.500
Ga1 0.000 0.500 0.500
Ga2 0.500 0.000 0.000
Se1 0.187 0.666 0.474
Se2 0.286 0.324 0.588
Se3 0.324 0.286 0.088
Se4 0.334 0.813 0.026
Se5 0.666 0.187 0.974
Se6 0.676 0.714 0.912
Se7 0.714 0.676 0.412
Se8 0.813 0.334 0.526

Peak list (10 most intense, 2θ = 10–90°, by angle)
two_theta  I/Imax
22.36  33
24.26  100
27.10  93
29.02  52
36.69  65
40.12  41
40.25  24
40.57  22
49.20  23
57.11  18

***

Entry 2:
This entry pairs a crystal structure of Cs3La3GaTe8 with its simulated powder XRD pattern. Radiation: Cu Kα (λ = 1.5418 Å). Structure: a DFT-relaxed cell (PBE, Alexandria).
Neutral-atom scattering factors, no anomalous dispersion.

Crystal structure
Unit cell a=9.201 b=9.201 c=10.567 alpha=115.25 beta=115.25 gamma=60.97
Atoms (fractional coordinates):
Cs1 0.000 0.000 0.000
Cs2 0.000 0.500 0.000
Cs3 0.500 0.000 0.000
La1 0.000 0.500 0.500
La2 0.500 0.000 0.500
La3 0.500 0.500 0.500
Ga1 0.000 0.000 0.500
Te1 0.199 0.199 0.673
Te2 0.223 0.742 0.688
Te3 0.258 0.777 0.312
Te4 0.266 0.266 0.301
Te5 0.734 0.734 0.699
Te6 0.742 0.223 0.688
Te7 0.777 0.258 0.312
Te8 0.801 0.801 0.327

Peak list (10 most intense, 2θ = 10–90°, by angle)
two_theta  I/Imax
25.68  100
25.86  42
27.40  11
31.89  20
34.23  26
34.61  16
38.58  19
39.18  37
47.03  16
52.78  9

***

Entry 3:
This entry pairs a crystal structure of Cs2Li3GaO4 with its simulated powder XRD pattern. Radiation: Cu Kα (λ = 1.5418 Å). Structure: a DFT-relaxed cell (PBE, Alexandria).
Neutral-atom scattering factors, no anomalous dispersion.

Crystal structure
Unit cell a=8.268 b=8.268 c=8.268 alpha=144.12 beta=104.42 gamma=86.60
Atoms (fractional coordinates):
Cs1 0.127 0.240 0.367
Cs2 0.373 0.740 0.112
Cs3 0.627 0.260 0.888
Cs4 0.873 0.760 0.633
Li1 0.010 0.250 0.760
Li2 0.250 0.250 0.000
Li3 0.490 0.250 0.240
Li4 0.510 0.750 0.760
Li5 0.750 0.750 0.000
Li6 0.990 0.750 0.240
Ga1 0.250 0.750 0.500
Ga2 0.750 0.250 0.500
O1 0.058 0.444 0.150
O2 0.206 0.056 0.614
O3 0.294 0.908 0.850
O4 0.442 0.592 0.386
O5 0.558 0.408 0.614
O6 0.706 0.092 0.150
O7 0.794 0.944 0.386
O8 0.942 0.556 0.850

Peak list (10 most intense, 2θ = 10–90°, by angle)
two_theta  I/Imax
14.72  27
25.89  96
29.69  35
33.49  100
38.38  31
38.56  31
45.36  18
50.84  24
58.71  15
59.99  19

***

Entry 4:
This entry pairs a crystal structure of CsMg6Ga with its simulated powder XRD pattern. Radiation: Cu Kα (λ = 1.5418 Å). Structure: a DFT-relaxed cell (PBE, Alexandria).
Neutral-atom scattering factors, no anomalous dispersion.

Crystal structure
Unit cell a=4.907 b=6.222 c=18.255 alpha=90.00 beta=90.00 gamma=90.00
Atoms (fractional coordinates):
Cs1 0.000 0.000 0.000
Cs2 0.000 0.500 0.500
Mg1 0.000 0.242 0.728
Mg2 0.000 0.258 0.228
Mg3 0.000 0.742 0.228
Mg4 0.000 0.758 0.728
Mg5 0.500 0.000 0.182
Mg6 0.500 0.000 0.676
Mg7 0.500 0.248 0.337
Mg8 0.500 0.252 0.837
Mg9 0.500 0.500 0.176
Mg10 0.500 0.500 0.682
Mg11 0.500 0.748 0.837
Mg12 0.500 0.752 0.337
Ga1 0.000 0.000 0.355
Ga2 0.000 0.500 0.855

Peak list (10 most intense, 2θ = 10–90°, by angle)
two_theta  I/Imax
15.04  50
18.08  37
20.41  100
20.55  40
23.60  36
27.40  95
29.35  37
33.82  34
35.56  69
36.63  35

***

Entry 5:
This entry pairs a crystal structure of Cs2Na4Ga with its simulated powder XRD pattern. Radiation: Cu Kα (λ = 1.5418 Å). Structure: a DFT-relaxed cell (PBE, Alexandria).
Neutral-atom scattering factors, no anomalous dispersion.

Crystal structure
Unit cell a=6.050 b=6.050 c=20.951 alpha=90.00 beta=90.00 gamma=90.00
Atoms (fractional coordinates):
Cs1 0.000 0.000 0.148
____________
# Assignment
Your job: return the listing further above verbatim.
# Worked solution
Entry 1:
This entry pairs a crystal structure of Cs2LaGaSe4 with its simulated powder XRD pattern. Radiation: Cu Kα (λ = 1.5418 Å). Structure: a DFT-relaxed cell (PBE, Alexandria).
Neutral-atom scattering factors, no anomalous dispersion.

Crystal structure
Unit cell a=9.036 b=9.036 c=9.103 alpha=113.92 beta=113.92 gamma=93.50
Atoms (fractional coordinates):
Cs1 0.000 0.000 0.000
Cs2 0.000 0.000 0.500
Cs3 0.000 0.500 0.000
Cs4 0.500 0.000 0.500
La1 0.500 0.500 0.000
La2 0.500 0.500 0.500
Ga1 0.000 0.500 0.500
Ga2 0.500 0.000 0.000
Se1 0.187 0.666 0.474
Se2 0.286 0.324 0.588
Se3 0.324 0.286 0.088
Se4 0.334 0.813 0.026
Se5 0.666 0.187 0.974
Se6 0.676 0.714 0.912
Se7 0.714 0.676 0.412
Se8 0.813 0.334 0.526

Peak list (10 most intense, 2θ = 10–90°, by angle)
two_theta  I/Imax
22.36  33
24.26  100
27.10  93
29.02  52
36.69  65
40.12  41
40.25  24
40.57  22
49.20  23
57.11  18

***

Entry 2:
This entry pairs a crystal structure of Cs3La3GaTe8 with its simulated powder XRD pattern. Radiation: Cu Kα (λ = 1.5418 Å). Structure: a DFT-relaxed cell (PBE, Alexandria).
Neutral-atom scattering factors, no anomalous dispersion.

Crystal structure
Unit cell a=9.201 b=9.201 c=10.567 alpha=115.25 beta=115.25 gamma=60.97
Atoms (fractional coordinates):
Cs1 0.000 0.000 0.000
Cs2 0.000 0.500 0.000
Cs3 0.500 0.000 0.000
La1 0.000 0.500 0.500
La2 0.500 0.000 0.500
La3 0.500 0.500 0.500
Ga1 0.000 0.000 0.500
Te1 0.199 0.199 0.673
Te2 0.223 0.742 0.688
Te3 0.258 0.777 0.312
Te4 0.266 0.266 0.301
Te5 0.734 0.734 0.699
Te6 0.742 0.223 0.688
Te7 0.777 0.258 0.312
Te8 0.801 0.801 0.327

Peak list (10 most intense, 2θ = 10–90°, by angle)
two_theta  I/Imax
25.68  100
25.86  42
27.40  11
31.89  20
34.23  26
34.61  16
38.58  19
39.18  37
47.03  16
52.78  9

***

Entry 3:
This entry pairs a crystal structure of Cs2Li3GaO4 with its simulated powder XRD pattern. Radiation: Cu Kα (λ = 1.5418 Å). Structure: a DFT-relaxed cell (PBE, Alexandria).
Neutral-atom scattering factors, no anomalous dispersion.

Crystal structure
Unit cell a=8.268 b=8.268 c=8.268 alpha=144.12 beta=104.42 gamma=86.60
Atoms (fractional coordinates):
Cs1 0.127 0.240 0.367
Cs2 0.373 0.740 0.112
Cs3 0.627 0.260 0.888
Cs4 0.873 0.760 0.633
Li1 0.010 0.250 0.760
Li2 0.250 0.250 0.000
Li3 0.490 0.250 0.240
Li4 0.510 0.750 0.760
Li5 0.750 0.750 0.000
Li6 0.990 0.750 0.240
Ga1 0.250 0.750 0.500
Ga2 0.750 0.250 0.500
O1 0.058 0.444 0.150
O2 0.206 0.056 0.614
O3 0.294 0.908 0.850
O4 0.442 0.592 0.386
O5 0.558 0.408 0.614
O6 0.706 0.092 0.150
O7 0.794 0.944 0.386
O8 0.942 0.556 0.850

Peak list (10 most intense, 2θ = 10–90°, by angle)
two_theta  I/Imax
14.72  27
25.89  96
29.69  35
33.49  100
38.38  31
38.56  31
45.36  18
50.84  24
58.71  15
59.99  19

***

Entry 4:
This entry pairs a crystal structure of CsMg6Ga with its simulated powder XRD pattern. Radiation: Cu Kα (λ = 1.5418 Å). Structure: a DFT-relaxed cell (PBE, Alexandria).
Neutral-atom scattering factors, no anomalous dispersion.

Crystal structure
Unit cell a=4.907 b=6.222 c=18.255 alpha=90.00 beta=90.00 gamma=90.00
Atoms (fractional coordinates):
Cs1 0.000 0.000 0.000
Cs2 0.000 0.500 0.500
Mg1 0.000 0.242 0.728
Mg2 0.000 0.258 0.228
Mg3 0.000 0.742 0.228
Mg4 0.000 0.758 0.728
Mg5 0.500 0.000 0.182
Mg6 0.500 0.000 0.676
Mg7 0.500 0.248 0.337
Mg8 0.500 0.252 0.837
Mg9 0.500 0.500 0.176
Mg10 0.500 0.500 0.682
Mg11 0.500 0.748 0.837
Mg12 0.500 0.752 0.337
Ga1 0.000 0.000 0.355
Ga2 0.000 0.500 0.855

Peak list (10 most intense, 2θ = 10–90°, by angle)
two_theta  I/Imax
15.04  50
18.08  37
20.41  100
20.55  40
23.60  36
27.40  95
29.35  37
33.82  34
35.56  69
36.63  35

***

Entry 5:
This entry pairs a crystal structure of Cs2Na4Ga with its simulated powder XRD pattern. Radiation: Cu Kα (λ = 1.5418 Å). Structure: a DFT-relaxed cell (PBE, Alexandria).
Neutral-atom scattering factors, no anomalous dispersion.

Crystal structure
Unit cell a=6.050 b=6.050 c=20.951 alpha=90.00 beta=90.00 gamma=90.00
Atoms (fractional coordinates):
Cs1 0.000 0.000 0.148